Page 25 of Dawn of the Pack

“It’s not going to kill him, is it?” Nielsen asks mildly. “He’s kinda purple.”

“Nah, just give it a minute for the spell to settle. He’ll be fine.”

“Good, ‘cuz he’s no good to me dead.”


Nielsen glances aside at Azalea, his eyes narrowing in response to her words. If she notices she doesn’t react, just settles herself onto the wheeled office chair she used yesterday and leans back, waiting.

After an unimaginably long, torturous moment, the pain subsides and my throat opens, allowing me to draw in ragged breaths. The alpha seems somewhat relieved, and Azalea is clearly smug.

“See? He’s just fine. In another minute or two, he’ll be right as rain.”

“And you’re sure this will work?”

“Oh yeah. I tested it on some kid’s dog. Lassie didn’t have any way to tell mister Rogers that Timmy was in the well with that thing on.”

I spare a second’s hope that she was just referring to the show and hadn’t actually hurt a child before considering my own plight. Glaring daggers at them both, I focus on filling my lungs and wait for the next nasty surprise.

“I think you ought to prove it before we go any further here.”

Whatever is going on, Nielsen clearly doesn’t trust Azalea. I file that away for later. It could be useful.

Sighing theatrically, Azalea answers, “Fine. Leaf, what do you think of your new accessory?”

I choose not to answer that comment, and after a few beats, she sighs again. “This really isn’t fun, Leaf. We’re dying to get your thoughts on the matter. Would you tell me for a cookie?”

I stand up, planning to tell her where she can shove that cookie, but when I try to speak the blinding pain erupts in my throat, leaving me gasping for breath and madly clawing at my neck like a raccoon on a leash.

The second I think about it, the blood drains from my face in realization. Azalea’s taunting about smelling like a dog wasn’t just bluster; she literally put a collar on me.

“There, you see?” she states in a smug, self-satisfied tone. “If he tries to speak, the pain stops him before he can even make a sound. I promise he’s perfectly docile now.”

### These records of crystals were left in the article by mistake
/*
Record 1
Theoretical powder XRD pattern
Compound: FeNi5Pt6
Radiation: Cu Kα (weighted mean of Kα1 and Kα2)
Structure: the PBE geometry in OQMD

a b c (Å): 3.843 11.514 7.316
angles (deg): 90.00 90.00 90.00
Space group Cmmm (No. 65)
Unique sites:
Fe (0.000, 0.000, 0.000) x2
Ni (0.000, 0.000, 0.500) x2
Ni (0.000, 0.335, 0.000) x4
Ni (0.000, 0.336, 0.500) x4
Pt (0.000, 0.167, 0.250) x8
Pt (0.000, 0.500, 0.249) x4

Main lines, in order of falling intensity (2θ from 10° to 90°):
two_theta	I (rel.)
41.4	100
47.3	34
24.3	24
33.0	23
71.2	20
49.9	15
83.9	13
84.0	13
53.9	12
87.7	12

Record 2
Theoretical powder XRD pattern
Compound: Re7Ni8
Radiation: Cu Kα (weighted mean of Kα1 and Kα2)
Structure: the PBE geometry in OQMD

a b c (Å): 8.923 8.923 4.850
angles (deg): 90.00 90.00 90.00
Space group P4_2/mnm (No. 136)
Unique sites:
Re (0.000, 0.000, 0.000) x2
Re (0.103, 0.103, 0.500) x4
Re (0.186, 0.814, 0.251) x8
Ni (0.041, 0.369, 0.500) x8
Ni (0.068, 0.268, 0.000) x8

Main lines, in order of falling intensity (2θ from 10° to 90°):
two_theta	I (rel.)
43.7	100
41.7	94
14.0	68
45.9	68
42.4	62
73.1	49
43.0	45
47.1	28
49.6	19
28.3	17

Record 3
Theoretical powder XRD pattern
Compound: Nb3InCN
Radiation: Cu Kα (weighted mean of Kα1 and Kα2)
Structure: the PBE geometry in OQMD

a b c (Å): 3.1606 3.1606 19.7661
angles (deg): 90.00 90.00 120.00
Space group P-3m1 (No. 164)
Unique sites:
Nb (0.0000, 0.0000, 0.0000) x1
Nb (0.0000, 0.0000, 0.5000) x1
Nb (0.3333, 0.6667, 0.1257) x2
Nb (0.3333, 0.6667, 0.3719) x2
In (0.0000, 0.0000, 0.2487) x2
C (0.3333, 0.6667, 0.5674) x2
N (0.3333, 0.6667, 0.9358) x2

Main lines, in order of falling intensity (2θ from 10° to 90°):
two_theta	I (rel.)
37.6	100
36.4	27
58.4	25
70.8	23
33.0	18
66.2	18
40.1	17
71.5	14
35.5	11
32.7	8

Record 4
Theoretical powder XRD pattern
Compound: Na2Mg2InGePt2
Radiation: Cu Kα (weighted mean of Kα1 and Kα2)
Structure: the PBE geometry in OQMD

a b c (Å): 4.647 4.647 6.664
angles (deg): 90.00 90.00 90.00
Space group P-4m2 (No. 115)
Unique sites:
Na (0.000, 0.500, 0.239) x2
Mg (0.000, 0.000, 0.000) x1
Mg (0.500, 0.500, 0.500) x1
In (0.000, 0.000, 0.500) x1
Ge (0.500, 0.500, 0.000) x1
Pt (0.000, 0.500, 0.763) x2

Main lines, in order of falling intensity (2θ from 10° to 90°):
two_theta	I (rel.)
23.3	100
38.5	96
38.8	48
45.7	35
70.0	32
45.2	17
56.0	16
69.4	16
61.1	14
82.5	10
*/

Nielsen’s eyes light up and he rubs his hands together. “Well damn, excellent work, Miss Wintree. That will do nicely.”

Azalea performs a pleased, mocking curtsey with the pleats of her tiny plaid skirt. “Are you ready for the next bit?”

“Indeed, go right ahead.”

### What comes next are records of crystals, not part of the piece
┌──
Simulated powder X-ray diffraction pattern
Compound: Nd4Co3Ge8
Radiation: CuKα
Structure: a PBE-relaxed structure

Atomic structure:
Lattice parameters (Å, degrees): 4.1994 4.2558 16.6097 90.00 90.00 90.00
Fractional coordinates of all 15 atoms:
1 Nd 0.0000 0.0000 0.0000
2 Nd 0.0000 0.5000 0.4976
3 Nd 0.5000 0.0000 0.2117
4 Nd 0.5000 0.5000 0.7139
5 Co 0.0000 0.0000 0.7906
6 Co 0.0000 0.5000 0.2938
7 Co 0.5000 0.5000 0.9248
8 Ge 0.0000 0.0000 0.3595
9 Ge 0.0000 0.0000 0.6522
10 Ge 0.0000 0.5000 0.1538
11 Ge 0.0000 0.5000 0.8568
12 Ge 0.5000 0.0000 0.5583
13 Ge 0.5000 0.0000 0.8574
14 Ge 0.5000 0.5000 0.0623
15 Ge 0.5000 0.5000 0.3589

Largest 8 diffraction maxima, in order of rising 2θ, 2θ from 10° to 90°:
- 34.09 deg, I 100
- 34.24 deg, I 29
- 38.97 deg, I 26
- 42.48 deg, I 26
- 43.08 deg, I 25
- 59.00 deg, I 15
- 62.10 deg, I 16
- 72.37 deg, I 14



Simulated powder X-ray diffraction pattern
Compound: BaCu3O4
Radiation: CuKα
Structure: a PBE-relaxed structure

Atomic structure:
Lattice parameters (Å, degrees): 6.1796 6.1796 5.3235 90.00 90.00 125.62
Fractional coordinates of all 8 atoms:
1 Ba 0.0000 0.0000 0.0000
2 Cu 0.0000 0.0000 0.5000
3 Cu 0.2663 0.7337 0.5000
4 Cu 0.7337 0.2663 0.5000
5 O 0.0905 0.3580 0.5000
6 O 0.3580 0.0905 0.5000
7 O 0.6420 0.9095 0.5000
8 O 0.9095 0.6420 0.5000

Largest 8 diffraction maxima, in order of rising 2θ, 2θ from 10° to 90°:
- 16.65 deg, I 35
- 17.66 deg, I 100
- 23.26 deg, I 58
- 29.05 deg, I 43
- 33.67 deg, I 45
- 38.27 deg, I 28
- 46.09 deg, I 32
- 58.28 deg, I 30



Simulated powder X-ray diffraction pattern
Compound: Al2O3
Radiation: CuKα
Structure: a PBE-relaxed structure

Atomic structure:
Lattice parameters (Å, degrees): 5.8495 5.9716 14.4178 79.60 86.91 62.57
Fractional coordinates of all 40 atoms:
1 Al 0.0000 0.0000 0.0000
2 Al 0.0011 0.4431 0.0388
3 Al 0.0959 0.2630 0.8421
4 Al 0.1658 0.7300 0.8147
5 Al 0.2345 0.5792 0.1917
6 Al 0.2531 0.3660 0.6122
7 Al 0.2609 0.8684 0.5868
8 Al 0.3764 0.6290 0.3999
9 Al 0.4129 0.1508 0.3635
10 Al 0.5644 0.9510 0.0476
11 Al 0.6070 0.1586 0.8191
12 Al 0.7014 0.6512 0.7191
13 Al 0.7233 0.5747 0.2448
14 Al 0.7616 0.9088 0.5369
15 Al 0.7725 0.0759 0.2096
16 Al 0.9167 0.1795 0.4017
17 O 0.1576 0.6312 0.0673
18 O 0.1923 0.9274 0.8880
19 O 0.2294 0.0925 0.0653
20 O 0.2322 0.4293 0.4063
21 O 0.2562 0.9624 0.4059
22 O 0.3039 0.4060 0.8725
23 O 0.3248 0.2361 0.7346
24 O 0.3544 0.7546 0.7118
25 O 0.3656 0.5756 0.5469
26 O 0.3845 0.7059 0.2544
27 O 0.4351 0.2336 0.2390
28 O 0.4362 0.0521 0.5732
29 O 0.7116 0.5079 0.3883
30 O 0.7137 0.6160 0.1065
31 O 0.7246 0.9636 0.9375
32 O 0.7348 0.9932 0.4121
33 O 0.7425 0.0980 0.0886
34 O 0.8023 0.3270 0.7735
35 O 0.8341 0.8271 0.7701
36 O 0.8955 0.3605 0.9426
37 O 0.8976 0.6010 0.6110
38 O 0.9057 0.2310 0.2643
39 O 0.9177 0.7350 0.2420
40 O 0.9417 0.0737 0.5457

Largest 8 diffraction maxima, in order of rising 2θ, 2θ from 10° to 90°:
- 18.40 deg, I 60
- 19.27 deg, I 100
- 31.56 deg, I 41
- 34.53 deg, I 57
- 35.58 deg, I 31
└──
### End of the records of crystals

I brace myself for more pain, eyes following every move Azalea makes and my body preparing to block or dodge whatever comes flying at me. Even though I know it’s unlikely I can change the outcome, my fight-or-flight response has taken over control.

Azalea is standing in front of the cell now, chanting with both her hands up, palms toward the magic field. When nothing hits me after thirty seconds, I unclench my muscles and pay closer attention. Flickers of bright white and hazy purple streak across the space between us, and in just a few more seconds, the magical wall buzzes once, then flashes out of existence.

And I understand. Her magic wall kept me from freeing myself of this prison with my magic. Now that I’m collared and magically gagged, they don’t need it anymore.

Nielsen laughs with delight. “Excellent! Now we can move forward. Come on, son, let’s get you out of that cell. It’s served its purpose.”

I glare at him warily, backing into the corner. I can’t fathom a reason that removing me from this room will mean anything good.

“Now, don’t be like that,” Nielsen chides, as if I’m a misbehaving toddler. “I’m sorry for it, but the collar is necessary. For my protection, you understand. Until I can trust you, I can’t have you working spells and turning me into a barn owl or something!” He grins widely, as if I’m in on this joke. “But come on, son. I have a better facility for you, much nicer than this one. You’ve got a bed, and a shower, and of course a toilet. I’m sure you’d like to clean up a bit, change clothes?”

I still don’t trust it. I feel like a caged animal and the only safe place is the one I already know.

Abruptly, Nielsen sighs as if he’s bored and drops the friendly act. “Fine, have it your way, then. Miss Wintree?”

A wicked grin curls Azalea’s lips. “With pleasure.”

A handful of spoken words accompany a flick of her fingers, and a black leather strap appears in her hand. My eyes follow the line in horror to realize it’s snaking across the floor and directly up my body, where it’s attached to the collar by the ring that was behind my neck a moment ago. Now it sits directly below my chin.